Prayer as hearing the voice of Christ in the silence

• The piece is interrupted by materials data:
┌──
Here is crystalline NdBiRh at its relaxed geometry from the Alexandria database. Energies are from GGA-PBE.

Unit cell a=3.950 b=3.950 c=5.697 alpha=110.28 beta=110.28 gamma=90.00
Sites, in units of the cell vectors:
Nd  0.590  0.590  0.179
Rh  0.985  0.985  0.969
Bi  0.276  0.276  0.552

Summary:
mass density: 9.8 g/cm3
energy of formation from the pure elements: -35 kJ per mole of atoms
DOS at the Fermi energy: 1.13 states/eV per cell


Here is crystalline Ga2OsI at its relaxed geometry from the Alexandria database. Energies are from GGA-PBE.

Unit cell a=4.754 b=4.754 c=4.754 alpha=60.00 beta=60.00 gamma=60.00
Site moments in Bohr magnetons follow the coordinates.
Sites, in units of the cell vectors:
I  0.000  0.000  0.000  0.04
Os  0.500  0.500  0.500  0.39
Ga  0.250  0.250  0.250  0.01
Ga  0.750  0.750  0.750  0.01

Summary:
mass density: 10.0 g/cm3
DOS at the Fermi energy: 4.21 states/eV per cell
offset from the most stable computed form: 1.96 eV/f.u.


Here is crystalline Hg4TeBr4 at its relaxed geometry from the Alexandria database. Energies are from GGA-PBE.

Unit cell a=6.932 b=9.048 c=9.048 alpha=90.00 beta=90.00 gamma=90.00
Sites, in units of the cell vectors:
Hg  0.682  0.772  0.409
Hg  0.682  0.228  0.591
Hg  0.182  0.909  0.728
Hg  0.818  0.272  0.909
Hg  0.818  0.728  0.091
Hg  0.318  0.409  0.228
Hg  0.318  0.591  0.772
Hg  0.182  0.091  0.272
Te  0.000  0.000  0.000
Te  0.500  0.500  0.500
Br  0.395  0.303  0.937
Br  0.895  0.563  0.803
Br  0.395  0.697  0.063
Br  0.105  0.197  0.563
Br  0.605  0.937  0.697
Br  0.105  0.803  0.437
Br  0.895  0.437  0.197
Br  0.605  0.063  0.303

Summary:
mass density: 7.3 g/cm3
DOS at the Fermi energy: 7.90 states/eV per cell


Here is crystalline Tm4Bi5Se at its relaxed geometry from the Alexandria database. Energies are from GGA-PBE.

Unit cell a=4.371 b=8.057 c=9.320 alpha=79.37 beta=103.56 gamma=90.00
Sites, in units of the cell vectors:
Tm  0.348  0.938  0.697
Tm  0.040  0.757  0.081
Tm  0.652  0.062  0.303
Tm  0.960  0.243  0.919
Bi  0.867  0.642  0.733
Bi  0.796  0.216  0.593
Bi  0.204  0.784  0.407
Bi  0.500  0.500  0.000
Bi  0.133  0.358  0.267
Se  0.500  0.000  0.000

Summary:
mass density: 9.5 g/cm3
DOS at the Fermi energy: 4.71 states/eV per cell


Here is crystalline LiScUS3 at its relaxed geometry from the Alexandria database. Energies are from GGA-PBE.

Unit cell a=3.667 b=7.764 c=8.266 alpha=104.69 beta=90.00 gamma=90.00
Site moments in Bohr magnetons follow the coordinates.
Sites, in units of the cell vectors:
Li  0.250  0.093  0.584  0.01
Li  0.750  0.907  0.416  0.01
Sc  0.250  0.664  0.155  0.09
Sc  0.750  0.336  0.845  0.09
U  0.250  0.185  0.215  2.56
U  0.750  0.815  0.785  2.56
S  0.750  0.898  0.134  -0.04
S  0.250  0.102  0.866  -0.04
S  0.250  0.771  0.505  -0.03
S  0.750  0.229  0.495  -0.03
S  0.750  0.438  0.171  -0.03
S  0.250  0.562  0.829  -0.03

Summary:
mass density: 5.6 g/cm3
DOS at the Fermi energy: 14.52 states/eV per cell
└──

Posted in Blog, Christianity

When C.S. Lewis’s wife, Joy Davidman, died, in 1960, the priest who took the funeral service was hardly able to get the words out through his own tears. His name was Austin Farrer and I am currently a fan of his writings. Farrer’s father was a Baptist minister. During his time as an Oxford undergraduate, Farrer grew attracted to the ‘high’ Anglican tradition with its style of deep and disciplined holiness. He became a Chaplain and Fellow of Trinity College and Warden of Keble College.

== Attached: materials data ==
********
No. 1
# NdBeCu3

A relaxed NdBeCu3 crystal (GGA-PBE, the Alexandria database).

The space group is Pm-3m (No. 221) and the conventional cell measures 4.321, 4.321 and 4.321 Å, with angles of 90.00, 90.00 and 90.00 degrees. Symmetry generates all atoms from Nd at (0.000, 0.000, 0.000), Be at (0.500, 0.500, 0.500) and Cu at (0.000, 0.500, 0.500).

For the density of states at the Fermi level, the calculation gives 0.526 states/eV/atom. The energy relative to the elements is -11 meV/atom.

***

No. 2
# NdBe5Cu7

A relaxed NdBe5Cu7 crystal (GGA-PBE, the Alexandria database).

The space group is Imm2 (No. 44) and the conventional cell measures 4.532, 8.292 and 8.265 Å, with angles of 90.00, 90.00 and 90.00 degrees. Symmetry generates all atoms from Nd at (0.000, 0.000, 0.000), Be at (0.000, 0.500, 0.747), Be at (0.249, 0.246, 0.254), Cu at (0.000, 0.000, 0.349), Cu at (0.000, 0.000, 0.647), Cu at (0.000, 0.277, 0.508), Cu at (0.000, 0.353, 0.998) and Cu at (0.000, 0.500, 0.272).

For the density of states at the Fermi level, the calculation gives 0.393 states/eV/atom. The energy relative to the elements is -89 meV/atom.

***

No. 3
# Nd2BeCu

A relaxed Nd2BeCu crystal (GGA-PBE, the Alexandria database).

The space group is P4/mmm (No. 123) and the conventional cell measures 3.574, 3.574 and 7.074 Å, with angles of 90.00, 90.00 and 90.00 degrees. Symmetry generates all atoms from Nd at (0.000, 0.000, 0.243), Be at (0.500, 0.500, 0.000) and Cu at (0.500, 0.500, 0.500).

For the density of states at the Fermi level, the calculation gives 0.821 states/eV/atom. The energy relative to the elements is 27 meV/atom. The offset from the most stable computed form is 0 meV per atom.

***

No. 4
# NdBe2Cu9

A relaxed NdBe2Cu9 crystal (GGA-PBE, the Alexandria database).

The space group is I4_1/amd (No. 141, origin choice 2) and the conventional cell measures 9.924, 9.924 and 6.378 Å, with angles of 90.00, 90.00 and 90.00 degrees. Symmetry generates all atoms from Nd at (0.000, 0.250, 0.375), Be at (0.000, 0.000, 0.000), Cu at (0.000, 0.250, 0.875) and Cu at (0.123, 0.047, 0.693).

For the density of states at the Fermi level, the calculation gives 0.398 states/eV/atom. The energy relative to the elements is -107 meV/atom.

***

No. 5
# Nd2Be3CuNi12

A relaxed Nd2Be3CuNi12 crystal (GGA-PBE, the Alexandria database).

The space group is R-3m (No. 166, hexagonal axes) and the conventional cell measures 7.4207, 7.4207 and 16.2417 Å, with angles of 90.00, 90.00 and 120.00 degrees. Symmetry generates all atoms from Nd at (0.0000, 0.0000, 0.1092), Be at (0.0000, 0.5000, 0.0000), Cu at (0.0000, 0.0000, 0.5000), Ni at (0.0077, 0.5038, 0.8741) and Ni at (0.0453, 0.5227, 0.3655).

For the density of states at the Fermi level, the calculation gives 0.546 states/eV/atom. The energy relative to the elements is 273 meV/atom.

***

No. 6
# Nd2BeCuPd6

A relaxed Nd2BeCuPd6 crystal (GGA-PBE, the Alexandria database).
********

Austin Farrer wrote much about prayer. One of the things he said was that prayer was something like listening to silence. He wondered whether you have ever tried listening to silence. He recalled that it was supposed to be silent in his house when he was thinking about his sermons. But, instead, ‘the clock ticks on the shelf, a car faintly audible from a great distance purrs its way down under my window and off into the space and darkness. The poor tin clarinet of a little old man up the street is quavering a hymn tune. There is a background of pattering rain. There is the beating of my heart.’

Farrer said that prayer is something like that – ‘listening to silence; and directly you try, you find that silence is not silent at all’. In the silence of the mind there are so many drums beating: ‘noisy rhythms of self-conceit, of resentment, of lust, not to mention the busy intellect tapping out the various themes which amuse or which worry it; each of these rhythms competing for your attention, and setting you on to dance its peculiar tune. But you must push them aside and go deeper into the silence, until you can hear that rhythm which, though it may not be the loudest, is the firmest of all.’

# Records of crystals that have nothing to do with the entry
┌──
[1]
A geometry-optimized YHo12Th7 structure. Source: the Alexandria database, functional GGA-PBE.

The space group is R-3 (No. 148, hexagonal axes) and the conventional cell measures 11.9097, 11.9097 and 15.9368 Å, with angles of 90.00, 90.00 and 120.00 degrees. Symmetry generates all atoms from Y at (0.0000, 0.0000, 0.0000), Ho at (0.0229, 0.5789, 0.7209), Ho at (0.0499, 0.4625, 0.0837), Th at (0.0000, 0.0000, 0.5000) and Th at (0.0558, 0.8716, 0.7903).

The energy of formation from the pure elements comes out at 0.27 eV per atom.

=====

[2]
A geometry-optimized TbNdI6 structure. Source: the Alexandria database, functional GGA-PBE.

The space group is C2/m (No. 12) and the conventional cell measures 7.5987, 14.4940 and 7.5970 Å, with angles of 90.00, 108.14 and 90.00 degrees. Symmetry generates all atoms from Tb at (0.0000, 0.0000, 0.0000), Nd at (0.0000, 0.5000, 0.5000), I at (0.2434, 0.1485, 0.2440) and I at (0.2469, 0.0000, 0.7528).

The formation energy (no corrections) comes out at -1.37 eV per atom.

=====

In Bohr magnetons per cell, the magnetic moment values for the records above are, in order, 0.00 0.00.

* * * * *

<1>
Computed, not measured: a relaxed structure of Cd3PtAu at the PBE-GGA level of DFT.

Cell lengths 5.848, 4.790, 7.870 Å; angles 90.00, 99.64, 90.00 degrees
Atoms (fractional coordinates):
Cd1 0.000 0.000 0.000
Cd2 0.078 0.500 0.294
Cd3 0.204 0.000 0.633
Cd4 0.500 0.000 0.000
Cd5 0.796 0.000 0.367
Cd6 0.922 0.500 0.706
Pt1 0.307 0.000 0.299
Pt2 0.693 0.000 0.701
Au1 0.439 0.500 0.760
Au2 0.561 0.500 0.240

## Properties
DOS(E_F): 0.238 states/eV/atom

---

<2>
Computed, not measured: a relaxed structure of Cd3PtAu at the PBE-GGA level of DFT.

Cell lengths 5.174, 5.174, 5.174 Å; angles 90.00, 90.00, 90.00 degrees
Atoms (fractional coordinates):
Cd1 0.000 0.000 0.500
Cd2 0.000 0.500 0.000
Cd3 0.500 0.000 0.000
Pt1 0.000 0.000 0.000
Au1 0.500 0.500 0.500

## Properties
└──
# Here the entry continues

Reading this you may think that it is powerful language but all a bit nebulous. But Farrer went on to root his thoughts in something that all of us can grasp. He wrote: ‘You all in a certain sense know the voice of Christ. You could all of you repeat to me many of his sayings, or turn them up in the gospel. But it is another thing to listen to them until you feel the power and the life of them; until your heart dances in harmony with them, and your hands itch to act them out. That is the control that liberates, and the release that controls; that is the profoundest happiness.’

My quotes from Farrer are from p 184 of his book Said or Sung which was published by Faith Press in 1960. I am trying to put his advice into practice in my own rather fitful prayer life.